# Listing
- - -
C4H17NO5 | wB97M-V/def2-TZVPD

The highest occupied orbital energy is -0.34053 hartree. The multiplicity is 1. Its LUMO energy is 0.16 eV. The total charge is 0. For the orbital gap, the calculation gives 9.424 eV.

Each atom is followed by the atoms it is bonded to, with distances in Å.
CARTESIAN COORDINATES (ANGSTROEM)
1 C 2.336 -1.414 0.861  C2 1.544, H7 1.109, H8 1.073, H9 1.088
2 C 0.865 -1.647 1.269  C1 1.544, C3 1.524, H10 1.092, H11 1.100
3 C -0.065 -1.808 0.073  C2 1.524, C4 1.564, H12 1.084, H13 1.090
4 C -1.488 -1.306 0.482  C3 1.564, N5 1.355, O6 1.220
5 N -1.778 0.008 0.324  C4 1.355, H14 1.015, H15 1.004
6 O -2.244 -2.053 1.083  C4 1.220
7 H 2.768 -2.435 0.854  C1 1.109
8 H 2.932 -0.793 1.503  C1 1.073
9 H 2.509 -1.232 -0.198  C1 1.088
10 H 0.802 -2.464 1.991  C2 1.092
11 H 0.518 -0.865 1.961  C2 1.100
12 H 0.222 -1.290 -0.835  C3 1.084
13 H -0.232 -2.861 -0.154  C3 1.090
14 H -1.090 0.644 -0.065  N5 1.015
15 H -2.682 0.387 0.544  N5 1.004
16 O 1.723 1.970 2.080  H17 0.978, H18 0.970
17 H 1.179 1.896 1.271  O16 0.978
18 H 1.361 2.692 2.617  O16 0.970
19 O -0.791 -0.281 -2.639  H20 0.962, H21 0.983
20 H -0.961 0.155 -1.799  O19 0.962
21 H -1.650 -0.516 -3.057  O19 0.983
22 O -0.134 2.296 -0.040  H23 0.972, H24 0.990
23 H -0.442 3.217 0.006  O22 0.972
24 H 0.539 2.449 -0.750  O22 0.990
25 O 0.913 2.242 -2.596  H26 0.975, H27 0.941
26 H 0.440 1.442 -2.893  O25 0.975
27 H 1.789 2.151 -2.928  O25 0.941

Results of the natural (NBO) charge analysis, in e, for atoms 1 through 4: -0.621 -0.411 -0.501 0.684

C4H17NO6 | wB97M-V/def2-TZVPD

The highest occupied orbital energy is -0.35703 hartree. The multiplicity is 1. Its LUMO energy is 0.18 eV. The total charge is 0. For the orbital gap, the calculation gives 9.893 eV.

Each atom is followed by the atoms it is bonded to, with distances in Å.
CARTESIAN COORDINATES (ANGSTROEM)
1 O -1.398 2.359 -1.470  C2 1.196
2 C -1.209 1.325 -2.041  O1 1.196, C3 1.551, H8 1.102
3 C 0.215 0.828 -2.404  C2 1.551, C4 1.571, H9 1.103, H10 1.087
4 C 0.566 -0.189 -1.259  C3 1.571, N5 1.444, H11 1.103, H12 1.105
5 N -0.461 -1.164 -0.976  C4 1.444, C6 1.465, H13 1.028
6 C -0.416 -1.867 0.308  N5 1.465, O7 1.395, H14 1.097, H15 1.092
7 O 0.838 -2.334 0.703  C6 1.395, H16 0.965
8 H -1.948 0.586 -2.390  C2 1.102
9 H 1.022 1.566 -2.262  C3 1.103
10 H 0.152 0.437 -3.417  C3 1.087
11 H 0.707 0.516 -0.422  C4 1.103
12 H 1.543 -0.663 -1.461  C4 1.105
13 H -0.434 -1.930 -1.661  N5 1.028
14 H -1.139 -2.683 0.185  C6 1.097
15 H -0.697 -1.222 1.143  C6 1.092
16 H 1.176 -2.953 0.045  O7 0.965
17 O 3.177 -0.711 0.802  H18 0.967, H19 0.965
18 H 3.170 0.218 1.070  O17 0.967
19 H 2.416 -1.277 0.980  O17 0.965
20 O -2.674 0.555 0.631  H21 0.974, H22 0.977
21 H -2.793 -0.208 1.224  O20 0.974
22 H -1.887 0.152 0.214  O20 0.977
23 O 1.925 1.354 1.973  H24 0.967, H25 0.963
24 H 1.271 0.933 2.547  O23 0.967
25 H 1.365 1.621 1.236  O23 0.963
26 O -1.109 1.580 2.481  H27 0.971, H28 0.962
27 H -1.444 2.089 1.724  O26 0.971
28 H -1.931 1.082 2.497  O26 0.962

Results of the natural (NBO) charge analysis, in e, for atoms 1 through 4: -0.516 0.447 -0.512 -0.219

C4H18N2O2 | wB97M-V/def2-TZVPD

The highest occupied orbital energy (alpha / beta) is -0.22044 / -0.55920 hartree. The multiplicity is 2. Its LUMO energy (alpha / beta) is -3.06 / -3.14 eV. The total charge is +1. As for the expectation value of S²: 0.7507. For the orbital gap (alpha / beta), the calculation gives 2.936 / 12.080 eV.

Each atom is followed by the atoms it is bonded to, with distances in Å.
CARTESIAN COORDINATES (ANGSTROEM)
1 C 0.749 1.382 -0.065  C2 1.476, H7 1.099, H8 1.104, H9 1.164
2 C -0.527 0.751 0.326  C1 1.476, C3 1.593, N6 1.542, H10 1.114
3 C -0.814 -0.655 -0.367  C2 1.593, C4 1.550, H11 1.093, H12 1.122
4 C 0.474 -1.313 -0.922  C3 1.550, N5 1.529, H13 1.126, H14 1.061
5 N 0.183 -2.814 -0.955  C4 1.529, H15 1.022, H16 1.108, H17 1.059
6 N -1.664 1.766 0.097  C2 1.542, H18 1.040, H19 1.032, H20 1.010
7 H 0.843 1.690 -1.117  C1 1.099
- - -

# Job
Now start at the top of the calculation results further above and repeat each line, ending with the one that has "H19 0.965".

# Here it is
C4H17NO5 | wB97M-V/def2-TZVPD

The highest occupied orbital energy is -0.34053 hartree. The multiplicity is 1. Its LUMO energy is 0.16 eV. The total charge is 0. For the orbital gap, the calculation gives 9.424 eV.

Each atom is followed by the atoms it is bonded to, with distances in Å.
CARTESIAN COORDINATES (ANGSTROEM)
1 C 2.336 -1.414 0.861  C2 1.544, H7 1.109, H8 1.073, H9 1.088
2 C 0.865 -1.647 1.269  C1 1.544, C3 1.524, H10 1.092, H11 1.100
3 C -0.065 -1.808 0.073  C2 1.524, C4 1.564, H12 1.084, H13 1.090
4 C -1.488 -1.306 0.482  C3 1.564, N5 1.355, O6 1.220
5 N -1.778 0.008 0.324  C4 1.355, H14 1.015, H15 1.004
6 O -2.244 -2.053 1.083  C4 1.220
7 H 2.768 -2.435 0.854  C1 1.109
8 H 2.932 -0.793 1.503  C1 1.073
9 H 2.509 -1.232 -0.198  C1 1.088
10 H 0.802 -2.464 1.991  C2 1.092
11 H 0.518 -0.865 1.961  C2 1.100
12 H 0.222 -1.290 -0.835  C3 1.084
13 H -0.232 -2.861 -0.154  C3 1.090
14 H -1.090 0.644 -0.065  N5 1.015
15 H -2.682 0.387 0.544  N5 1.004
16 O 1.723 1.970 2.080  H17 0.978, H18 0.970
17 H 1.179 1.896 1.271  O16 0.978
18 H 1.361 2.692 2.617  O16 0.970
19 O -0.791 -0.281 -2.639  H20 0.962, H21 0.983
20 H -0.961 0.155 -1.799  O19 0.962
21 H -1.650 -0.516 -3.057  O19 0.983
22 O -0.134 2.296 -0.040  H23 0.972, H24 0.990
23 H -0.442 3.217 0.006  O22 0.972
24 H 0.539 2.449 -0.750  O22 0.990
25 O 0.913 2.242 -2.596  H26 0.975, H27 0.941
26 H 0.440 1.442 -2.893  O25 0.975
27 H 1.789 2.151 -2.928  O25 0.941

Results of the natural (NBO) charge analysis, in e, for atoms 1 through 4: -0.621 -0.411 -0.501 0.684

C4H17NO6 | wB97M-V/def2-TZVPD

The highest occupied orbital energy is -0.35703 hartree. The multiplicity is 1. Its LUMO energy is 0.18 eV. The total charge is 0. For the orbital gap, the calculation gives 9.893 eV.

Each atom is followed by the atoms it is bonded to, with distances in Å.
CARTESIAN COORDINATES (ANGSTROEM)
1 O -1.398 2.359 -1.470  C2 1.196
2 C -1.209 1.325 -2.041  O1 1.196, C3 1.551, H8 1.102
3 C 0.215 0.828 -2.404  C2 1.551, C4 1.571, H9 1.103, H10 1.087
4 C 0.566 -0.189 -1.259  C3 1.571, N5 1.444, H11 1.103, H12 1.105
5 N -0.461 -1.164 -0.976  C4 1.444, C6 1.465, H13 1.028
6 C -0.416 -1.867 0.308  N5 1.465, O7 1.395, H14 1.097, H15 1.092
7 O 0.838 -2.334 0.703  C6 1.395, H16 0.965
8 H -1.948 0.586 -2.390  C2 1.102
9 H 1.022 1.566 -2.262  C3 1.103
10 H 0.152 0.437 -3.417  C3 1.087
11 H 0.707 0.516 -0.422  C4 1.103
12 H 1.543 -0.663 -1.461  C4 1.105
13 H -0.434 -1.930 -1.661  N5 1.028
14 H -1.139 -2.683 0.185  C6 1.097
15 H -0.697 -1.222 1.143  C6 1.092
16 H 1.176 -2.953 0.045  O7 0.965
17 O 3.177 -0.711 0.802  H18 0.967, H19 0.965